Exercise
Could you type out everything further down unchanged?
Listing
- - -
## w
The following is a DFT calculation (PBE) of a geometry-optimized Ce2CuC structure.

Calculated values
N(E_F) (states/eV/atom): 1.714

Structure (POSCAR):
```
Ce2CuC
1.0
-0.159 -1.810 2.823
-0.873 -3.239 -0.129
8.023 -3.901 -0.054
Ce C Cu
2 1 1
Direct
0.890 0.890 0.331
0.110 0.110 0.669
0.500 0.500 0.500
0.000 0.000 0.000
```

## x
The following is a DFT calculation (PBE) of a geometry-optimized Ce2CuC structure.

Calculated values
N(E_F) (states/eV/atom): 1.821

Structure (POSCAR):
```
Ce2CuC
1.0
-2.434 -0.188 2.089
-1.494 -2.091 -1.929
3.160 -5.222 3.214
Ce Cu C
2 1 1
Direct
0.000 0.000 0.198
0.000 0.000 0.802
0.500 0.500 0.500
0.500 0.500 0.000
```

The most stable of them is x.

----------

First-principles (PBE-GGA) data for LaInCuPt3 after structural relaxation, as listed in Alexandria.

```
LaInCuPt3
1.0
2.867 -5.943 0.000
2.867 5.943 0.000
0.000 0.000 7.468
La In Cu Pt
2 2 2 6
Direct
0.172 0.828 0.750
0.828 0.172 0.250
0.128 0.872 0.250
0.872 0.128 0.750
0.422 0.578 0.750
0.578 0.422 0.250
0.249 0.249 0.000
0.249 0.249 0.500
0.352 0.648 0.250
0.648 0.352 0.750
0.751 0.751 0.000
- - -
Completed
## w
The following is a DFT calculation (PBE) of a geometry-optimized Ce2CuC structure.

Calculated values
N(E_F) (states/eV/atom): 1.714

Structure (POSCAR):
```
Ce2CuC
1.0
-0.159 -1.810 2.823
-0.873 -3.239 -0.129
8.023 -3.901 -0.054
Ce C Cu
2 1 1
Direct
0.890 0.890 0.331
0.110 0.110 0.669
0.500 0.500 0.500
0.000 0.000 0.000
```

## x
The following is a DFT calculation (PBE) of a geometry-optimized Ce2CuC structure.

Calculated values
N(E_F) (states/eV/atom): 1.821

Structure (POSCAR):
```
Ce2CuC
1.0
-2.434 -0.188 2.089
-1.494 -2.091 -1.929
3.160 -5.222 3.214
Ce Cu C
2 1 1
Direct
0.000 0.000 0.198
0.000 0.000 0.802
0.500 0.500 0.500
0.500 0.500 0.000
```

The most stable of them is x.

----------

First-principles (PBE-GGA) data for LaInCuPt3 after structural relaxation, as listed in Alexandria.

```
LaInCuPt3
1.0
2.867 -5.943 0.000
2.867 5.943 0.000
0.000 0.000 7.468
La In Cu Pt
2 2 2 6
Direct
0.172 0.828 0.750
0.828 0.172 0.250
0.128 0.872 0.250
0.872 0.128 0.750
0.422 0.578 0.750
0.578 0.422 0.250
0.249 0.249 0.000
0.249 0.249 0.500
0.352 0.648 0.250
0.648 0.352 0.750
0.751 0.751 0.000